Wednesday, June 30, 2010
Blowin' Chunks
Tuesday, June 29, 2010
One For Fun
Monday, June 28, 2010
Painful Progress
Sunday, June 27, 2010
73 Days And Counting Down...
Not My Victrola
EdmundusRex posted this lively little dance number. Open another tab for your web-surfing so you can listen a few times; it's a toe-tapper.
Saturday, June 26, 2010
Weekend Steam
From pikespeaklibrary, on YouTube.
Friday, June 25, 2010
Crankin' It Up
"Some Sweet Someone" was recorded by The High Hatters on September 19, 1928, and is on the flip side of last week's Crank Up, "I Wanna Be Loved By You." The vocal refrain is by Sam Coslow, and there is quite a bit of information on Mr. Coslow on the internet. He was a prolific songwriter, and it made my day to learn that he penned "My Old Flame," and "Cocktails For Two." Makes me want to get out some of my old Spike Jones records.
Thursday, June 24, 2010
Always Something

# What comes next are calculated crystals, not part of the text
(1)
Starting from DFT lattice parameters and positions (GGA-PBE), the powder XRD pattern of S3N2 was simulated for Cu Kα (weighted mean of Kα1 and Kα2).
Kinematic intensities with the Lorentz-polarization factor, no thermal factor.

Top 12 peaks for 10° ≤ 2θ ≤ 80°, in order of falling intensity:
d_spacing, 2theta, I/Imax, (hkl)
5.648, 15.69, 100, 0 1 0
2.694, 33.26, 85, 2 1 1
3.837, 23.18, 39, 1 0 1
2.077, 43.58, 23, 2 2 1
4.413, 20.12, 20, 2 0 0
4.757, 18.65, 19, 1 1 0
3.174, 28.12, 15, 1 1 1
3.401, 26.20, 14, 0 1 1
2.609, 34.37, 9, 3 1 0
1.282, 73.90, 8, 2 4 1
1.411, 66.23, 8, 0 3 2
1.532, 60.40, 8, 4 0 2

a = 8.8252 Å, b = 5.6481 Å, c = 4.2604 Å
α = 90.00°, β = 90.00°, γ = 90.00°
Space group Pmn2_1 (No. 31)
Asymmetric unit:
S: 0.0000 0.1781 0.0000 x2
S: 0.2331 0.8159 0.9371 x4
N: 0.1554 0.0320 0.1455 x4

=====

(2)
Starting from DFT lattice parameters and positions (GGA-PBE), the powder XRD pattern of SbS4N3 was simulated for Cu Kα (weighted mean of Kα1 and Kα2).
Kinematic intensities with the Lorentz-polarization factor, no thermal factor.

Top 12 peaks for 10° ≤ 2θ ≤ 80°, in order of falling intensity:
d_spacing, 2theta, I/Imax, (hkl)
6.023, 14.71, 100, 0 0 1
5.829, 15.20, 98, 0 1 0
5.014, 17.69, 88, 1 0 0
3.313, 26.91, 63, 1 0 1
3.086, 28.93, 58, 1 -2 0
4.238, 20.96, 52, -1 1 1
4.791, 18.52, 49, 1 0 -1
4.824, 18.39, 36, 1 -1 0
3.011, 29.67, 34, 0 0 2
2.915, 30.67, 33, 0 2 0
2.669, 33.57, 32, 1 1 -2
2.430, 37.00, 30, -2 2 1

a = 5.7467 Å, b = 6.3134 Å, c = 6.4542 Å
α = 91.24°, β = 109.13°, γ = 110.80°
Space group P1 (No. 1)
Asymmetric unit:
Sb: 0.0000 0.0000 0.0000 x1
S: 0.2511 0.4566 0.8740 x1
S: 0.4464 0.1039 0.4727 x1
S: 0.8729 0.3639 0.0827 x1
S: 0.8939 0.8695 0.3485 x1
N: 0.0781 0.5404 0.9841 x1
N: 0.1961 0.9835 0.5419 x1
N: 0.3874 0.1154 0.2215 x1

=====

(3)
Starting from DFT lattice parameters and positions (GGA-PBE), the powder XRD pattern of SbSN2 was simulated for Cu Kα (weighted mean of Kα1 and Kα2).
Kinematic intensities with the Lorentz-polarization factor, no thermal factor.

Top 12 peaks for 10° ≤ 2θ ≤ 80°, in order of falling intensity:
d_spacing, 2theta, I/Imax, (hkl)
4.741, 18.72, 100, 0 0 2
3.091, 28.88, 45, 0 1 -2
2.904, 30.78, 38, 1 0 1
2.868, 31.19, 37, -1 1 1
3.626, 24.55, 27, 0 1 0
3.014, 29.64, 24, 1 0 -1
2.960, 30.20, 24, 1 -1 1
2.531, 35.47, 21, 1 0 2
2.510, 35.77, 21, -1 1 2
3.242, 27.51, 21, 0 1 1
2.707, 33.09, 20, 0 1 2
3.061, 29.18, 20, 1 -1 0

a = 3.4116 Å, b = 4.0037 Å, c = 9.5725 Å
α = 97.00°, β = 90.42°, γ = 113.90°
Space group P1 (No. 1)
Asymmetric unit:
Sb: 0.0000 0.0000 0.0000 x1
S: 0.7430 0.4988 0.1448 x1
N: 0.5034 0.0320 0.5156 x1
N: 0.6216 0.2589 0.6058 x1

=====

(4)
Starting from DFT lattice parameters and positions (GGA-PBE), the powder XRD pattern of SbS4N3 was simulated for Cu Kα (weighted mean of Kα1 and Kα2).
Kinematic intensities with the Lorentz-polarization factor, no thermal factor.

Top 12 peaks for 10° ≤ 2θ ≤ 80°, in order of falling intensity:
d_spacing, 2theta, I/Imax, (hkl)

Wednesday, June 23, 2010
It's A Dandy!

Tuesday, June 22, 2010
Gratuitous Hazard Tree Evaluation

Monday, June 21, 2010
Sunday, June 20, 2010
Don't Start Monday Without It!
Not My Victrola; Poor Papa
I hope your father is doing a little better than Poor Papa. EdmundusRex posted this amusing recording by Whispering Jack Smith from 1926.
Get Out And Shoot Today!
Saturday, June 19, 2010
Weekend Steam
Bidone1967's comments: Im Mai fand das 125 jährige Dampfbahn Jubiläum der Döllnitzbahn statt.Zu dieser tollen Veranstaltung kam auch die I K 54 und fuhr im Pendelverkahr zwischen Mügeln un Glossen.Hier der erste Teil meines Filmes über die IK 54.
Parts 1 and 2 of videos about the I K 54 narrow gauge steam locomotive, by Bidone1967.
Im Mai fand das 125 jährige Dampfbahn Jubiläum der Döllnitzbahn statt.Zu dieser tollen Veranstaltung kam auch die I K 54 und fuhr im Pendelverkahr zwischen Mügeln un Glossen.Hier der zweite Teil meines Filmes über die IK 54.
Friday, June 18, 2010
Crankin' It Up
This Victor Orthophonic record was cut on September 19,1928 by the High Hatters, with the vocal refrain by Sam Coslow. It is a lively little Fox-Trot, so you all can get a little exercise as you listen to this one. This song is best known as performed by Helen Kane (The Boop,Boop,A-Doop Girl), so I selected it just because it is unusual to hear a man singing it.
Thursday, June 17, 2010
How It's Done

You have to go where the engines are. Mrs. TBS caught this Model T racer parked in the shade, and it is much more photogenic here than it would have been in the car barn. When you go to an engine show you have to keep your camera with you, and have extra batteries and SD cards handy so you don't lose the good shots when you see them.
Wednesday, June 16, 2010
Eighty Four Days and Counting....

...until the Gun Blogger Rendezvous in Reno. Click over to Mr. Completely's GBR site to get all the details, and to register. You do not have to be a blogger to attend! If you enjoy shooting, and visiting with other folks who enjoy firearm related topics and activities, you need to go!
Tuesday, June 15, 2010
Sentimental Journey Visits Mt. Vernon, IL

Monday, June 14, 2010
Wonderful Things!

Sunday, June 13, 2010
Not Monday Again!!!
Back To The Old Grind!
Not My Victrola
BSGS 98 has posted another delightful song performed by Aileen Stanley, and it has a very nice slide show to go with it. "All By Myself" was composed by Irving Berlin, and Miss Stanley recorded it on the Victor label on May 16, 1921.
Saturday, June 12, 2010
Prepare To Be Inspired!
Weekend Steam: Places To Go
The Mrs. and I are making a quick trip over to the Southern Indiana Antique Machinery show on Saturday to look at cars, tractors, gas engines, fleas, and Andy Glines' Huber return flue engine. Find a show in your neighborhood by looking at the show directory on the left side of this page.
Here are some good possibilites for this weekend:
Blue Ridge Antique Power Assn. 23rd Annual Tractor and Gas Engine Show
Show runs from 06/09/10 to 06/12/10 Weyers Cave, VA
19th Annual Antique Farm Power Club Antique Tractor and Engine Show
Show runs from 06/10/10 to 06/12/10Fruitport, MI
Blue River Valley Antique Power Assn. 27th Anniversary Celebration
Show runs from 06/11/10 to 06/12/10Shelbyville, IN
Southern Indiana's Antique and Machinery Club Classic Iron Show
Show runs from 06/11/10 to 06/13/10Evansville, IN
Rough and Tumble Engineers Historical Assn. Blacksmith Days
Show runs from 06/11/10 to 06/12/10Kinzers, PA
Marshall-Putnam Antique Assn. 23rd Annual Antique Tractor and Engine Show
Show runs from 06/12/10 to 06/13/10Lacon, IL
27th Annual Black Swamp Steam and Gas Show
Show runs from 06/13/10 to 06/14/10Defiance, OH
Friday, June 11, 2010
Crankin' It Up
Here is the flip side of last week's Crank Up; Arnold Johnson and his Orchestra perform 'Kiss Me' on Brunswick disc 2411-A, recorded on February 27, 1923.
Thursday, June 10, 2010
Sweet John Deere Music
This John Deere G served as one of the transports at a forestry field day event last fall in Pope County, Illinois. Hearing the G pull the hill with a load was a real treat. One of the little known dangers of sitting on bales is a little critter known as the straw mite. I picked up a load of them at a similar event a few years ago, and the bales on these wagons created more than a little worry in my mind, so I sprayed down with plenty of Deet before I took a seat. Thank goodness I didn't pick up any mites on this trip. The danger is greater with old bales that have been in storage for a few years, and if straw mites ever get you once you will never think of hay rides in a positive way again.
Wednesday, June 9, 2010
Time On Your Hands?

A Wee Bit of Canada

I always enjoy stumbling upon boulders like this one. Southern Illinois was glaciated during the Illinoian glacial period, about 310,000 to 128,000 years ago. The Illinoian glacier extended south to the Shawnee Hills, and the change in landscape there is quite dramatic. The more recent Wisconsin glacier occurred between 24,000 and 11,000 years ago, and its southern reach is approximately around Effingham. The soils in Southern Illinois are a mix of Illinoian glacial till, with loess overlying that, mostly from the Wisconsin glacier. There are also big areas of glacial lakebed filled with fine sediments from glacial outwash. Granite boulders like the one above were left here at least 128,000 years ago, and they come in all sizes. Once I found a beautiful quartzite boulder that I would have liked to carry home, but it was at least a couple hundred pounds, and it was about a mile from my truck. Oh Well. I guess if they have been resting comfortably for 128,000 years I should just leave them be.
Tuesday, June 8, 2010
More Shooting Tips From Ruger Firearms
Do basic instructions really work? We had a first time shooter visit recently, and I spent quite a bit of time prepping him before he shot my .22 Ruger Single Six. He shot the May e-Postal contest with us and beat me with my own gun. I better watch this one a couple times.
Monday, June 7, 2010
Yesterday On Blogger....
Blogger was unavailble for posting last night, so I hope all of you survived OK without your Monday Morning Grinder. I tried, but it kind of went like the video.
Sunday, June 6, 2010
Not My Victrola Twofer
One of my all time favorite songs, presented on an Edison Diamond Disc, and a player piano.
Saturday, June 5, 2010
Weekend Steam: Show Time!